Now find the line further down that holds "0.28", then duplicate that line and all lines after it there.
<<<
165
Properties=species:S:1:pos:R:3 method="wB97M-V/def2-TZVPD" orbital_gap_ev=6.781 multiplicity=1 lumo_ev=-0.94 homo_energy_ev=-7.718
C -0.45 -3.27 4.48
C -2.04 -3.08 4.00
N -2.43 -1.66 4.32
C -2.89 -0.89 3.10
C -4.43 -0.25 3.18
C -5.04 0.61 1.93
N -6.48 1.18 1.94
C -6.49 2.48 1.49
C -7.61 2.92 0.33
C -5.47 3.66 1.99
C -4.07 0.85 0.63
C -2.52 0.25 0.48
N -1.80 0.60 -0.79
C -0.45 -0.08 -0.74
C 0.53 0.17 -2.07
C 1.75 1.21 -1.63
C 1.28 2.77 -1.49
S 1.72 3.34 0.28
C 1.68 5.21 0.39
S 3.18 6.06 0.57
N 0.42 6.04 0.35
C -0.35 6.01 1.66
C -1.24 4.65 1.90
O -1.53 3.88 0.67
C -1.73 4.77 -0.48
C -0.45 5.73 -0.85
C 0.16 -1.01 0.45
C 1.66 -1.73 0.34
O 1.44 -3.16 -0.06
O 1.20 -3.18 -1.36
N -0.61 -1.27 1.71
C -1.97 -0.63 1.73
H 0.14 -2.23 4.42
H 0.10 -4.05 3.78
H -0.37 -3.63 5.61
H -2.09 -3.35 2.85
H -2.67 -3.88 4.58
H -1.71 -1.15 4.87
H -5.12 -0.41 4.13
H -7.93 1.97 -0.30
H -8.58 3.39 0.79
H -7.10 3.76 -0.34
H -4.89 3.40 2.98
H -4.67 3.80 1.14
H -5.99 4.71 2.16
H -4.52 1.47 -0.29
H 0.91 -0.83 -2.55
H -0.10 0.76 -2.89
H 2.61 1.08 -2.44
H 2.23 0.90 -0.59
H 1.92 3.45 -2.24
H 0.16 2.98 -1.75
H 0.36 6.24 2.58
H -1.11 6.93 1.61
H -2.29 4.98 2.34
H -0.68 4.01 2.74
H -2.65 5.49 -0.24
H -2.07 4.09 -1.41
H 0.17 5.35 -1.80
H -0.91 6.77 -1.20
H 2.33 -1.27 -0.50
H 2.19 -1.76 1.39
H 0.21 -3.42 -1.48
C -2.53 -3.07 -3.52
O -1.47 -2.83 -4.43
H -3.45 -2.64 -3.93
H -2.66 -4.15 -3.39
H -2.31 -2.60 -2.56
H -0.67 -3.22 -4.04
C 4.76 -0.71 2.84
O 4.05 0.13 1.96
H 4.10 -1.51 3.18
H 5.62 -1.15 2.32
H 5.11 -0.14 3.71
H 4.66 0.83 1.68
C 5.89 3.66 -1.45
O 5.10 2.49 -1.34
H 6.69 3.48 -2.18
H 5.27 4.49 -1.79
H 6.34 3.90 -0.48
H 4.41 2.68 -0.69
C 6.39 -3.81 0.13
O 7.03 -2.67 0.68
H 6.41 -4.62 0.87
H 5.35 -3.56 -0.11
H 6.92 -4.13 -0.77
H 7.00 -1.97 0.01
C 3.84 -6.61 -0.40
O 4.21 -6.02 -1.63
H 4.50 -7.46 -0.21
H 3.94 -5.88 0.40
H 2.80 -6.96 -0.47
H 3.61 -5.27 -1.78
C 5.34 -4.01 5.39
O 5.94 -2.78 5.02
H 4.28 -3.83 5.60
H 5.43 -4.72 4.57
H 5.82 -4.39 6.29
H 6.88 -2.96 4.84
C 7.18 -9.44 -0.51
O 7.53 -8.34 -1.32
H 8.08 -9.82 -0.01
H 6.45 -9.13 0.24
H 6.75 -10.23 -1.14
H 6.71 -8.03 -1.75
C 2.87 -8.56 3.11
O 3.93 -8.32 2.21
H 1.95 -8.13 2.70
H 2.74 -9.64 3.24
H 3.09 -8.09 4.07
H 4.73 -8.71 2.60
C -3.06 -6.96 -1.41
O -2.46 -5.74 -1.78
H -4.12 -6.79 -1.20
H -2.97 -7.68 -2.22
H -2.58 -7.35 -0.51
H -1.52 -5.92 -1.95
C 8.07 -4.68 -3.45
O 6.92 -4.72 -4.28
H 8.91 -4.28 -4.03
H 7.88 -4.03 -2.59
H 8.31 -5.69 -3.11
H 6.20 -5.08 -3.74
C -11.76 3.79 0.70
O -11.39 4.39 -0.53
H -11.10 2.95 0.90
H -11.66 4.53 1.51
H -12.80 3.44 0.64
H -11.99 5.14 -0.68
C 9.26 3.78 -4.07
O 7.88 3.81 -3.73
H 9.78 4.54 -3.49
H 9.67 2.80 -3.84
H 9.38 4.00 -5.14
H 7.44 3.13 -4.26
C -10.90 7.31 1.53
O -11.85 7.26 0.49
H -10.18 6.49 1.39
H -10.37 8.26 1.50
H -11.40 7.19 2.49
H -12.47 8.00 0.64
C 4.65 4.33 -5.99
O 6.05 4.35 -6.19
H 4.16 3.99 -6.91
H 4.41 3.64 -5.18
H 4.30 5.34 -5.75
H 6.45 4.66 -5.36
C 11.18 -6.15 -5.44
O 11.82 -5.01 -4.89
H 11.19 -6.96 -4.71
H 10.14 -5.90 -5.68
H 11.71 -6.47 -6.34
H 11.79 -4.31 -5.57
C -10.44 5.22 5.08
O -10.10 6.37 4.33
H -10.92 4.50 4.42
H -9.53 4.78 5.50
H -11.12 5.50 5.88
H -9.67 7.00 4.94
C -15.22 7.97 -0.36
O -14.58 9.11 0.19
H -15.21 7.16 0.38
H -16.26 8.22 -0.60
H -14.69 7.65 -1.26
H -14.61 9.81 -0.48

---

7
Properties=species:S:1:pos:R:3 method="wB97M-V/def2-TZVPD" orbital_gap_ev="9.675 / 4.341" multiplicity=1 lumo_ev="-0.51 / -3.56" e_above_lowest_ev=2.9076 homo_energy_ev="-10.184 / -7.897"
C -0.44 0.73 -0.63
C -0.05 -0.59 -0.10
C -1.32 -0.50 -0.43
Br -0.42 2.43 0.23
Br 1.17 -1.55 0.79
Br -2.97 -1.06 0.12
Br 4.03 0.55 0.03

---

Number 1: E -4119.18127 Ha. Number 2: E -10410.17122 Ha.
>>>
S 1.72 3.34 0.28
C 1.68 5.21 0.39
S 3.18 6.06 0.57
N 0.42 6.04 0.35
C -0.35 6.01 1.66
C -1.24 4.65 1.90
O -1.53 3.88 0.67
C -1.73 4.77 -0.48
C -0.45 5.73 -0.85
C 0.16 -1.01 0.45
C 1.66 -1.73 0.34
O 1.44 -3.16 -0.06
O 1.20 -3.18 -1.36
N -0.61 -1.27 1.71
C -1.97 -0.63 1.73
H 0.14 -2.23 4.42
H 0.10 -4.05 3.78
H -0.37 -3.63 5.61
H -2.09 -3.35 2.85
H -2.67 -3.88 4.58
H -1.71 -1.15 4.87
H -5.12 -0.41 4.13
H -7.93 1.97 -0.30
H -8.58 3.39 0.79
H -7.10 3.76 -0.34
H -4.89 3.40 2.98
H -4.67 3.80 1.14
H -5.99 4.71 2.16
H -4.52 1.47 -0.29
H 0.91 -0.83 -2.55
H -0.10 0.76 -2.89
H 2.61 1.08 -2.44
H 2.23 0.90 -0.59
H 1.92 3.45 -2.24
H 0.16 2.98 -1.75
H 0.36 6.24 2.58
H -1.11 6.93 1.61
H -2.29 4.98 2.34
H -0.68 4.01 2.74
H -2.65 5.49 -0.24
H -2.07 4.09 -1.41
H 0.17 5.35 -1.80
H -0.91 6.77 -1.20
H 2.33 -1.27 -0.50
H 2.19 -1.76 1.39
H 0.21 -3.42 -1.48
C -2.53 -3.07 -3.52
O -1.47 -2.83 -4.43
H -3.45 -2.64 -3.93
H -2.66 -4.15 -3.39
H -2.31 -2.60 -2.56
H -0.67 -3.22 -4.04
C 4.76 -0.71 2.84
O 4.05 0.13 1.96
H 4.10 -1.51 3.18
H 5.62 -1.15 2.32
H 5.11 -0.14 3.71
H 4.66 0.83 1.68
C 5.89 3.66 -1.45
O 5.10 2.49 -1.34
H 6.69 3.48 -2.18
H 5.27 4.49 -1.79
H 6.34 3.90 -0.48
H 4.41 2.68 -0.69
C 6.39 -3.81 0.13
O 7.03 -2.67 0.68
H 6.41 -4.62 0.87
H 5.35 -3.56 -0.11
H 6.92 -4.13 -0.77
H 7.00 -1.97 0.01
C 3.84 -6.61 -0.40
O 4.21 -6.02 -1.63
H 4.50 -7.46 -0.21
H 3.94 -5.88 0.40
H 2.80 -6.96 -0.47
H 3.61 -5.27 -1.78
C 5.34 -4.01 5.39
O 5.94 -2.78 5.02
H 4.28 -3.83 5.60
H 5.43 -4.72 4.57
H 5.82 -4.39 6.29
H 6.88 -2.96 4.84
C 7.18 -9.44 -0.51
O 7.53 -8.34 -1.32
H 8.08 -9.82 -0.01
H 6.45 -9.13 0.24
H 6.75 -10.23 -1.14
H 6.71 -8.03 -1.75
C 2.87 -8.56 3.11
O 3.93 -8.32 2.21
H 1.95 -8.13 2.70
H 2.74 -9.64 3.24
H 3.09 -8.09 4.07
H 4.73 -8.71 2.60
C -3.06 -6.96 -1.41
O -2.46 -5.74 -1.78
H -4.12 -6.79 -1.20
H -2.97 -7.68 -2.22
H -2.58 -7.35 -0.51
H -1.52 -5.92 -1.95
C 8.07 -4.68 -3.45
O 6.92 -4.72 -4.28
H 8.91 -4.28 -4.03
H 7.88 -4.03 -2.59
H 8.31 -5.69 -3.11
H 6.20 -5.08 -3.74
C -11.76 3.79 0.70
O -11.39 4.39 -0.53
H -11.10 2.95 0.90
H -11.66 4.53 1.51
H -12.80 3.44 0.64
H -11.99 5.14 -0.68
C 9.26 3.78 -4.07
O 7.88 3.81 -3.73
H 9.78 4.54 -3.49
H 9.67 2.80 -3.84
H 9.38 4.00 -5.14
H 7.44 3.13 -4.26
C -10.90 7.31 1.53
O -11.85 7.26 0.49
H -10.18 6.49 1.39
H -10.37 8.26 1.50
H -11.40 7.19 2.49
H -12.47 8.00 0.64
C 4.65 4.33 -5.99
O 6.05 4.35 -6.19
H 4.16 3.99 -6.91
H 4.41 3.64 -5.18
H 4.30 5.34 -5.75
H 6.45 4.66 -5.36
C 11.18 -6.15 -5.44
O 11.82 -5.01 -4.89
H 11.19 -6.96 -4.71
H 10.14 -5.90 -5.68
H 11.71 -6.47 -6.34
H 11.79 -4.31 -5.57
C -10.44 5.22 5.08
O -10.10 6.37 4.33
H -10.92 4.50 4.42
H -9.53 4.78 5.50
H -11.12 5.50 5.88
H -9.67 7.00 4.94
C -15.22 7.97 -0.36
O -14.58 9.11 0.19
H -15.21 7.16 0.38
H -16.26 8.22 -0.60
H -14.69 7.65 -1.26
H -14.61 9.81 -0.48

---

7
Properties=species:S:1:pos:R:3 method="wB97M-V/def2-TZVPD" orbital_gap_ev="9.675 / 4.341" multiplicity=1 lumo_ev="-0.51 / -3.56" e_above_lowest_ev=2.9076 homo_energy_ev="-10.184 / -7.897"
C -0.44 0.73 -0.63
C -0.05 -0.59 -0.10
C -1.32 -0.50 -0.43
Br -0.42 2.43 0.23
Br 1.17 -1.55 0.79
Br -2.97 -1.06 0.12
Br 4.03 0.55 0.03

---

Number 1: E -4119.18127 Ha. Number 2: E -10410.17122 Ha.